2 Corinthians 5: What’s In It For Me?

2 Corinthians 5: What’s In It For Me?

Often referred to as man’s favorite radio station, WIIFM- is something we all think about.  For it is part of our nature which thinks in terms of our own selfish nature. What’s in it for me – means what benefit will I derive?  What will this do for me?  Let’s face it self-interest is something we deal with every day. Jesus came to enlighten our self interest.  He understands a reward system and incentives. This is why in His Sermon on the Mount, Jesus told us not to lay up treasures for ourselves on earth, where moth and rust corrupt and thieves break into steal. But instead lay up treasures for ourselves in heaven, where moth and rust do not corrupt and thieves do not break in and steal. Jesus understands our need to be satisfied. This why He warned us of the enemy who comes to steal and kill and destroy. While the Lord came to give us life and life more abundantly.  Jim Elliott the missionary who was killed by the tribes he was ministering to – understood this principle and said: “A man is no fool to give up what he cannot keep for that which he can never lose. We were created by the Lord and for the Lord. He knows what will fulfill our deepest longings and satisfy us the most.

The word “it” is a pronoun which is often identified as an impersonal pronoun.  What is in me and you in these earthen vessels, in these tents, is nothing less than the Lord Himself in the person of the Holy Spirit.  When He first came into my life, He was virtually a stranger. He said of this incident, “I was a stranger but you took me in.”  Then we began a journey together and He has become my best and most intimate friend.  He understands me. He reveals spiritual truths to me.

As we ended chapter 4, Paul says the real things in this life are not the seen, visible things, but the real things are the invisible things, the unseen.  Natural man, man who does not have the Spirit of God indwelling him cannot understand these unseen things. In fact they are foolishness to him and he cannot know them because they are spiritually discerned. (I Cor. 2) What are these unseen things which are eternal?  They are the unseen forces at work in the world, of which most of the world is completely unaware. These are the two kingdoms at war in the unseen realm.  The kingdom of darkness and the kingdom of light.  The kingdoms of darkness is under Satan, aka Lucifer, the fallen angel, and consist of the angels who followed him, aka known as demons.  The kingdom of light is the Kingdom of God and consists of Triune God and the angels who remain with Him to do whatever He commands them to do.  These kingdoms are eternal, although invisible.  The Word of God is eternal, it will not pass away. And the souls of men are eternal and will exist forever in one of two locations: heaven or hell.


Notice how Paul starts this chapter:  “Now we know…”  Paul does not say now we hope, he says now we know. How can I know with certainty?  By faith. “Now faith is being sure of what we hope for, and certain of what we cannot see.”   This is how we live and walk by faith and not by sight.  The natural man, the lost of this world, do not know these spiritual truths and therefore walk by sight. As believers in the Word of God we know absolute truth. We are certain of things we cannot see.  I have never seen Jesus Christ or heaven, but I am certain they exist for the Word of God is absolute truth and as such is the only reliable thing in this unreliable world.  Everything we see today will pass away, but the Word of God remains forever. It is the anchor of my soul. Paul uses a description of our body here in this chapter as an earthly tent. Paul says we know these tents will be destroyed, and that we have a building, a house built by God not by human hands, eternal in heaven. Remember what is seen is temporary, but what is unseen is eternal.

We know we understand the world and everything in the universe, both seen and unseen were created by God. They are held together by God, He is creator and sustainer of all things. We are told to look beyond the visible to the invisible things. The Word of God tells me there are angels, both good and bad working both for and against human beings on this earth. We who are on earth are caught up in this great invisible conflict in which we are both under attack and supported by invisible hands.  This is why Paul said we wrestle not with flesh and blood but against invisible principalities and powers and spiritual wickedness in high places.

This unseen battle spills out on the earth and the 24 hour news cycle on television brings the results into our homes every night. Since the unseen world is not understood by man, they are deceived into believing different reasons why the world is in such a mess. They must find visible reasons for these problems and thus we have wars, rumors of wars, riots, a polluted environment and unbelievable violence, murder, rape, child abuse and the awful things we see on the 24 hour news cycle.   Jesus told us in Matthew 24: 37: ‘As it was in the days Noah, so also will it be at the coming of the Son of Man.”  How was it in the days of Noah?  Genesis 6 tells us:  “Then the Lord saw the wickedness of man was great in the earth, and that every intent of the thoughts of his heart was only evil continually.”   Are we there yet?  One could build a case just from watching the news cycle that we are. But listen to this statistic, in 2015 on one pornographic website, consumers watched 4.3 billion hours of pornography.  Convert those hours to years, and it is 500,000 years of watching porn. Minds polluted, consciences seared with this hot iron of filth. Surely we are as wicked as the society which was swept away in the flood in the days of Noah.

I fear the generations coming behind us have lost the values which our grandparents and parents deemed as absolute. Now everyone does what is right in their own eyes. We have accepted the redefining of marriage, abortion of unborn as a right, and pornography as mainstream entertainment.  The two greatest weapons the unseen forces of evil have unleashed on this world are sex and technology combined to make it available in every home and almost impossible for parents to protect their children from this evil. We are in a battle. A battle for the mind. For remember the mind can overrule a God- given conscience until it becomes desensitized to evil and has no concept of right and wrong and their minds are on evil 24-7, just as it was in the days of Noah.

........
Computed powder diffractogram
Compound: CaFe3Co5O16
Radiation: Cu Kα, 1.54184 Å
Structure: a cell relaxed with GGA+U
No peak broadening, texture or thermal motion is included.

Main lines, in order of rising 2θ (5 to 70 degrees two-theta):
- 19.03 deg, d 4.663, rel. 100
- 19.49 deg, d 4.555, rel. 21
- 19.68 deg, d 4.511, rel. 27
- 20.83 deg, d 4.264, rel. 22
- 24.20 deg, d 3.677, rel. 21
- 27.16 deg, d 3.283, rel. 35
- 35.99 deg, d 2.496, rel. 30
- 36.81 deg, d 2.441, rel. 23
- 38.89 deg, d 2.316, rel. 38
- 48.52 deg, d 1.876, rel. 29
- 64.72 deg, d 1.440, rel. 24
- 64.79 deg, d 1.439, rel. 18

Crystal structure
a = 5.7562 Å, b = 5.7670 Å, c = 9.4149 Å
α = 97.15°, β = 90.39°, γ = 119.45°
Space group P1 (No. 1)
Inequivalent atoms, fractional coordinates:
1 Ca 0.0000 0.0000 0.0000 (multiplicity 1)
2 Fe 0.0599 0.1660 0.3064 (multiplicity 1)
3 Fe 0.4578 0.4166 0.7599 (multiplicity 1)
4 Fe 0.5522 0.6571 0.2987 (multiplicity 1)
5 Co 0.0695 0.6657 0.3003 (multiplicity 1)
6 Co 0.4538 0.9135 0.7544 (multiplicity 1)
7 Co 0.6478 0.3057 0.0401 (multiplicity 1)
8 Co 0.9169 0.8712 0.5552 (multiplicity 1)
9 Co 0.9483 0.4131 0.7590 (multiplicity 1)
10 O 0.0919 0.2195 0.6622 (multiplicity 1)
11 O 0.1025 0.7256 0.6668 (multiplicity 1)
12 O 0.1932 0.9888 0.4267 (multiplicity 1)
13 O 0.2413 0.5241 0.4016 (multiplicity 1)
14 O 0.2973 0.6135 0.8615 (multiplicity 1)
15 O 0.3567 0.1194 0.8861 (multiplicity 1)
16 O 0.3624 0.7937 0.2056 (multiplicity 1)
17 O 0.3899 0.3245 0.1727 (multiplicity 1)
18 O 0.6094 0.7332 0.6592 (multiplicity 1)
19 O 0.6100 0.2158 0.6556 (multiplicity 1)
20 O 0.7525 0.9876 0.4295 (multiplicity 1)
21 O 0.7700 0.5616 0.4167 (multiplicity 1)
22 O 0.7790 0.1304 0.8708 (multiplicity 1)
23 O 0.7967 0.5673 0.8959 (multiplicity 1)
24 O 0.8814 0.8026 0.1992 (multiplicity 1)
25 O 0.8962 0.3193 0.1781 (multiplicity 1)

----------

For SrMo2As2O12, a DFT-relaxed cell (PBE+U, Alexandria) gives the computed PXRD pattern in this record (Cu Kα (weighted mean of Kα1 and Kα2)).
Intensities are scaled so that the largest is 100.

Structure:
abc: 6.6836 7.0448 10.7170
angles: 90.00 91.29 90.00
Sites, in units of the cell vectors:
Sr1 0.0000 0.0000 0.0000
Sr2 0.0000 0.5000 0.5000
Mo1 0.2483 0.0435 0.6646
Mo2 0.2483 0.4565 0.1646
Mo3 0.7517 0.5435 0.8354
Mo4 0.7517 0.9565 0.3354
As1 0.2444 0.0461 0.3456
As2 0.2444 0.4539 0.8456
As3 0.7556 0.5461 0.1544
As4 0.7556 0.9539 0.6544
O1 0.0499 0.6157 0.8419
O2 0.0499 0.8843 0.3419
O3 0.2128 0.6797 0.0964
O4 0.2128 0.8203 0.5964
........


Paul was a tentmaker. He now switches metaphors to describe our earthly bodies not only as jars of clay, earthen vessels, but also as tents.  The tent is our earthly body, temporary and weak just like a tent. Tents sag; tents are not very comfortable when exposed to the elements, heat, cold, rain, snow, etc. Tents grow old and threadbare, easily torn. Paul says we know if these tents are destroyed we have a building, a house to dwell in created by God.  This house Paul is talking about is our glorified body which our souls will reside in for eternity. It was created by God for each of us who are believers. We read of its description in the Gospels when we read of Jesus’ resurrected, glorified body.  For He has told us, flesh and blood cannot enter the kingdom of heaven. So God has created a glorified body for each of us, so when we see Jesus we will be like him.   Abraham was known as “a man of the tent and the altar.”  The tent reminded him of the temporary and the altar of worship reminded him of the eternal city he was seeking whose architect and builder was God.  Wherever God is present is Holy Ground. Paul has referred to our bodies as a house.  Truly when we realize what is in these earthly vessels and these tents in which our souls reside, we realize the presence of God in our lives makes our bodies a house of God, a house of Worship.

Paul tells us while we are in these earthly tents, we groan. This groan is not the groan of old age or worn out bodies.  This is a groan of longing, like the earth, all of nature groans with longing for its Creator to return and restore them to their former glory.  Paul’s groan is a groan of longing for heaven and all its glory.

So here Paul explains our situation as believers indwelt by the Holy Spirit:

  1. Alive in an earthly tent, a body which is temporary tent that is wasting away.
  2. Death, for a believer is referred to as sleep by Paul and the Lord Jesus. Here Paul refers to it as being ‘unclothed.’ In other words we took off the tent, the clothing of our temporary earthly bodies.
  3. Clothed with our heavenly building, which is our glorified transformed body like Jesus we receive at the return of Jesus. If we are alive when He returns we will receive a glorified body in the twinkling of an eye we will be changed from corruptible to incorruptible. This glorified body is a dwelling a building built by God, not human hands. It is and eternal body.

# Between two parts of the article: records of crystals
Structure and simulated powder X-ray diffraction pattern of NaCaMgAlSi4O12 (a structure optimized by DFT (GGA-PBE); Cu Kα (λ = 1.5418 Å)).
No peak broadening, texture or thermal motion is included.

Largest 10 diffraction maxima, most intense first, 2θ from 10° to 90°:
h k l	2θ/deg	I/Imax
2 1 0	23.35	100
1 2 -1	26.41	88
2 0 -2	27.89	83
2 1 1	28.43	80
0 1 2	26.63	60
3 1 -1	32.53	53
1 2 0	24.62	44
1 1 -3	37.37	44
1 0 0	10.19	42
0 2 1	25.44	37

Structural model:
```
data_NaCaMgAlSi4O12
_space_group_name_H-M_alt 'P 1 c 1'
_space_group_IT_number 7
_space_group_name_Hall 'P -2yc'
_cell_length_a 8.9211
_cell_length_b 7.9558
_cell_length_c 7.5840
_cell_angle_alpha 90.00
_cell_angle_beta 103.34
_cell_angle_gamma 90.00
loop_
_atom_site_label
_atom_site_fract_x
_atom_site_fract_y
_atom_site_fract_z
Na1 0.0000 0.1894 0.0000
Ca1 0.1775 0.1661 0.6232
Mg1 0.7466 0.1304 0.2149
Al1 0.3775 0.1172 0.1061
Si1 0.4728 0.3680 0.4100
Si2 0.5226 0.2396 0.8165
Si3 0.7755 0.2237 0.6079
Si4 0.9821 0.4717 0.2809
O1 0.0974 0.4635 0.9540
O2 0.2023 0.0617 0.9561
O3 0.3494 0.2902 0.2426
O4 0.4203 0.0639 0.7454
O5 0.4275 0.3251 0.6007
O6 0.5175 0.4360 0.9030
O7 0.5543 0.1604 0.0381
O8 0.6461 0.2609 0.4197
O9 0.7048 0.2094 0.7876
O10 0.8674 0.0523 0.5907
O11 0.8975 0.3842 0.6414
O12 0.9233 0.2856 0.2461
```

Structure and simulated powder X-ray diffraction pattern of Tb2MgS4 (a structure optimized by DFT (GGA-PBE); Cu Kα (λ = 1.5418 Å)).
No peak broadening, texture or thermal motion is included.

Largest 10 diffraction maxima, most intense first, 2θ from 10° to 90°:
h k l	2θ/deg	I/Imax
0 2 3	25.09	100
0 2 1	15.72	86
1 3 2	34.78	82
1 3 1	32.58	65
1 1 1	25.41	51
1 1 2	28.13	48
1 1 5	42.92	45
2 0 0	47.80	42
0 6 3	48.43	39
1 5 2	45.56	25

Structural model:
```
data_Tb2MgS4
_space_group_name_H-M_alt 'C m c 21'
_space_group_IT_number 36
_space_group_name_Hall 'C 2c -2'
_cell_length_a 3.8061
_cell_length_b 12.5280
_cell_length_c 12.9186
_cell_angle_alpha 90.00
_cell_angle_beta 90.00
_cell_angle_gamma 90.00
loop_
_atom_site_label
_atom_site_fract_x
_atom_site_fract_y
_atom_site_fract_z
Tb1 0.0000 0.1185 0.0000
Tb2 0.0000 0.3625 0.2015
Mg1 0.0000 0.3741 0.8376
S1 0.0000 0.0106 0.7868
S2 0.0000 0.2618 0.3885
S3 0.0000 0.2898 0.6490
S4 0.0000 0.4628 0.0147
```

Structure and simulated powder X-ray diffraction pattern of Na6Sn2S7 (a structure optimized by DFT (GGA-PBE); Cu Kα (λ = 1.5418 Å)).
No peak broadening, texture or thermal motion is included.

Largest 10 diffraction maxima, most intense first, 2θ from 10° to 90°:
h k l	2θ/deg	I/Imax
1 1 -2	15.58	100
1 1 2	19.05	63
1 3 3	33.67	61
0 0 4	24.00	59
0 2 1	17.45	59
0 2 5	34.51	49
1 1 -1	12.83	45
1 3 -3	30.75	45
2 0 -2	19.83	44
1 1 0	12.60	44

Structural model:
```
data_Na6Sn2S7
_space_group_name_H-M_alt 'C 1 2/c 1'
_space_group_IT_number 15
_space_group_name_Hall '-C 2yc'
_cell_length_a 9.5707
_cell_length_b 10.8181
_cell_length_c 15.3402
_cell_angle_alpha 90.00
_cell_angle_beta 105.04
_cell_angle_gamma 90.00
loop_
_atom_site_label

We are told to be absent from the body, (leave the earthly tent) is to be present with the Lord. To be still in this earthly body is to be absent for the physical presence of the Lord. So people of God are in one of two places:  either in heaven or on earth. We are not in a grave. We are not in hell. We are not in purgatory, a so-called in-between place between heaven and hell, which does not exist.

Now we are curious as to what it is like between the time when we die and the time we get our glorified bodies. . Remember our souls are immortal, they never die, they simply change locations when the leave the body.  The saved are in the presence of the Lord Jesus. The lost are in Hades, a place described as a place of torment in Luke 16. The lost will be brought from that place to the Great White Throne for their punishment based on their deeds and misdeeds, sins.

Does this mean when I leave my body I will exist in a disembodied state of sleep? I believe when our souls leave our bodies, these earthly temporary tents, we enter the presence of the Lord in Heaven. What we also enter is eternity.  In eternity there is no time. No past, no future. On earth we lived in the temporary, created 24 hour day cycle. We are conditioned to think in terms of time.  This is why eternity is placed in our heart, although we do not fully understand it, we long for it. In eternity, we never have to wait for anything.  Your loved ones who have not only entered heaven and the presence of the Lord, they have entered eternity where there is no time. They do not want for anything and they do not wait for anything, this is the phenomena of eternity where time as we know it does not exist.

Paul then tells us: “Now it is God who made us for this purpose and has given us the Spirit as a deposit, as a guarantee of what is to come.  The Holy Spirit renews us each day reminding us the best is yet to come.  And as we grow older and our bodies are wasting away  outwardly, but because God has placed his very Spirit within us to remind us daily and renew us daily as we feast upon the Daily Bread of His Word, who is the Lord Jesus Himself our Bread of Life who renews our minds each day. He is providing us with a foretaste of glory divine. If you remember your wedding day, or have recently attended a traditional wedding, the bride and bridegroom turn to face each other as they repeat their vows.  When we behold Him our Savior, Redeemer and look full in His face, the things of this world grow strangely dim in the light of His wonder and grace. He is preparing a place for us now and we know at our age, whether He is coming soon or we are leaving this building to go be with Him, the time grows short.


Paul says, therefore we are always confident and know that as long as we are at home in the body we are away from the lord. We walk (live) by faith and not by sight. We are confident, I say, and would prefer to be away from the body and at home with the Lord. Therefore, we make it our goal to please Him, whether we are at home in the body or away from it. For we must all appear before the judgment seat of Christ, that each one may receive what is due him, for the things done the body, whether good or bad.

We are confident while we are still in these earthly tents we are away from the Lord, we can walk by faith and not by sight because of the Holy Spirit deposited in us as a guarantee.  God has promised never to leave us or forsake us. He told the disciples as He prepared to go the cross, he would not leave them orphans. He promised us He would send the Comforter, the Holy Spirit.

Paul says we are always to make it our goal to please the Lord. And the reason we should make this our priority is because all believers will appear before the judgment seat of Christ.  This is not the Great White Throne judgment which is for the lost, whose name is not found written in the Lambs’ Book of Life; this is the bema, where our works will be tested by fire for rewards, as we read in I Cor. 3.  Those works which burned up were inferior and done for selfish motives and recognition of man. Jesus said the recognition you received would be your reward. The works which survived the fire were works done not for recognition on earth, but to glorify God and please Him, not ourselves.

Paul is telling us heaven is not only a destination, it is also our motivation for how we should live here on earth.   The parable of the talents and the servants show us our motivation and ambition to the please God to receive a reward is not sinful. God promises rewards. Therefore if God promises rewards for faithful servants, rewards from God cannot be sinful, but in fact are motivation. Paul, as Saul of Tarsus understood ambition and hard work and rewards. All of his accomplishment prior to his salvation were a result of his hard work, study, sacrifice and ambition. Ambition is not wrong when one’s ambition is to please the Lord.  Paul realized all of his works before he was saved were nothing, and he considered them as rubbish, worthless. The saved person known formerly as Saul of Tarsus was a new creature. He was humble, not proud, but he still possessed ambition, now he was motivated by wanting to please God. He wanted to run the best possible race he could, he wanted to press on, to strive to give it his all for the glory of God.

Think of all the hours you worked at your job for not only money and advancement, but for the recognition of your bosses and co-workers and the community.  I have received awards and recognition in my career. Salesman of the year, national recognition, two awards of excellence. Our company had an annual review for each employee where we met with our immediate bosses for review of our accomplishments for the year. Our rating would impact our bonus and salary going forward.  We put together a presentation which showed our accomplishments for the year, the increase in business, the profitability, etc.  We had set goals for the year in the beginning of the year which were shared with our supervisors. We were then judged on how well we did and the results of our efforts. We worked hard for the money and the recognition.

Heaven is not only our destination it is also our motivation. If we are looking at the unseen above and the day when we stand before Jesus – we begin to realize, at least I do, at my age,  I am running out of time to lay up treasures and rewards in heaven.

I understand what Paul means when he says we know what it is to fear the Lord. I believe we will be fearful at the Bema, fearful our efforts were self-serving and not serving and glorifying Him, who died for me.  I will enter heaven, but how much of what I spent my life doing will really matter. For if the only things of this world which are eternal are the Word of God and the souls of man, how have I invested in those?

Paul wanted to set God-Honoring goals and then work ambitiously and hard to achieve those goals.

/*
No. 1
Structure and computed powder diffraction line list of UTe5 (a crystal structure in the Materials Project, relaxed with GGA-PBE; Cu Ka).
No peak broadening, texture or thermal motion is included.

Crystal structure
a b c (Å): 18.3829 4.2840 10.3121
angles (deg): 90.00 90.00 90.00
Space group Pna2_1 (No. 33)
Inequivalent atoms, fractional coordinates:
U 0.0904 0.1144 0.0000 x4
Te 0.0040 0.0224 0.7444 x4
Te 0.0362 0.3750 0.5000 x4
Te 0.1586 0.6130 0.1890 x4
Te 0.1654 0.6144 0.8207 x4
Te 0.2430 0.8392 0.5103 x4

Top 12 peaks for 2θ = 10–90°, by intensity:
Position (°2θ), intensity
12.90, 100
34.04, 70
30.81, 61
26.82, 58
36.60, 52
34.82, 43
28.78, 41
28.48, 34
37.11, 33
43.42, 30
33.43, 27
47.60, 21

---

No. 2
Structure and computed powder diffraction line list of U2Te5 (a crystal structure in the Materials Project, relaxed with GGA-PBE; Cu Ka).
No peak broadening, texture or thermal motion is included.

Crystal structure
a b c (Å): 34.6635 4.1827 6.1105
angles (deg): 90.00 95.08 90.00
Space group C2/m (No. 12)
Inequivalent atoms, fractional coordinates:
U 0.0553 0.0000 0.0275 x4
U 0.1495 0.5000 0.5811 x4
Te 0.9997 0.5000 0.2500 x4
Te 0.0822 0.0000 0.5423 x4
Te 0.1205 0.5000 0.0638 x4
Te 0.2002 0.0000 0.3600 x4
Te 0.2007 0.0000 0.8482 x4

Top 12 peaks for 2θ = 10–90°, by intensity:
Position (°2θ), intensity
27.97, 100
36.80, 47
32.03, 33
43.26, 24
35.89, 18
68.05, 17
54.83, 14
15.86, 14
39.76, 14
37.78, 13
29.35, 13
61.23, 13

---

No. 3
Structure and computed powder diffraction line list of U2Te3 (a crystal structure in the Materials Project, relaxed with GGA-PBE; Cu Ka).
No peak broadening, texture or thermal motion is included.

Crystal structure
a b c (Å): 9.2051 9.2051 27.7146
angles (deg): 90.00 90.00 90.00
Space group I-42d (No. 122)
Inequivalent atoms, fractional coordinates:
U 0.0000 0.0000 0.1680 x8
U 0.1217 0.2500 0.6250 x8
U 0.1268 0.2475 0.2918 x16
Te 0.0763 0.1739 0.3998 x16
Te 0.0785 0.1720 0.0676 x16
Te 0.0797 0.1743 0.7343 x16

Top 12 peaks for 2θ = 10–90°, by intensity:
Position (°2θ), intensity
36.48, 100
30.66, 85
30.71, 53
62.14, 30
23.64, 30
43.92, 22
46.20, 22
48.39, 18
65.68, 15
61.96, 15
50.52, 14
75.95, 11

---

No. 4
Structure and computed powder diffraction line list of U3Te5 (a crystal structure in the Materials Project, relaxed with GGA-PBE; Cu Ka).
No peak broadening, texture or thermal motion is included.

Crystal structure
a b c (Å): 16.2647 4.1287 14.0933
angles (deg): 90.00 90.00 90.00
Space group Pnma (No. 62)
Inequivalent atoms, fractional coordinates:
U 0.1197 0.2500 0.2498 x4
U 0.1266 0.7500 0.5903 x4
U 0.1394 0.2500 0.9308 x4
Te 0.0250 0.7500 0.3897 x4
Te 0.0671 0.7500 0.7974 x4
Te 0.0752 0.7500 0.0810 x4
Te 0.2152 0.2500 0.4538 x4
Te 0.2355 0.2500 0.7209 x4

Top 12 peaks for 2θ = 10–90°, by intensity:
Position (°2θ), intensity
38.33, 100
21.85, 81
30.86, 77
59.63, 59
30.02, 58
43.85, 50
33.90, 45
31.53, 43
37.43, 40
35.71, 38
35.26, 34
77.40, 24

---

No. 5
*/

How did Paul set those goals?  He believed God’s promises. He believed God had equipped him to do the work God had called him to do.  He had a consuming desire to achieve those God-given goals. He was not afraid to risk failure.  He was determined. He was persistent. He stood firm in the faith and walked by faith not by sight. He let go of the past.

What goals do you have for the rest of your life?  Have you asked God what does He want you to do with the rest of your life? He told us what we are to be doing.  “Go therefore and make disciples of all the nations, baptizing them in the name of the Father, the Son and the Holy Spirit, teaching them to observe all things I have commanded you; and lo, I am with you always, even to the end of the earth. Amen.’ Matthew 28; We are to be godly goal setters, soul winners and disciple makers.

When we stand before Jesus at the bema to answer what we have done, it will be clear what we have done in obedience to Him and what we have done for our own glory.  I don’t know about you, but I do not want to be ashamed. I want to be approved by the Lord Jesus. I want to have pleased Him.

Paul said we are to try to persuade men.

Evaluate your own goals and ask God what are His plans for today. He will show you where He is working and He shows you in order that you might join Him there. Be as ambitious to please Him as you were your employer. Work as hard as you ever have on a project for work. Work as hard as the athlete who trains. Works as hard as some of the people I see at the Lift to be physically fit.  Make sure the rest of your life counts for something of eternal value.